Sunday, January 6, 2008

To tell the truth...

Wow, where has this year gone? Honestly, my mind is in a jumble. I have been in a fog...
Ever feel that way? I don't like admitting that I've had more downs than ups this year, but it's true. Being real with others is sometimes hard to do. But I want to be real and that means admitting to stumbling around at times.

Thankfully, I am not alone. I know that is true although I haven't had anyone tell me they too have been stumbling around lately. Why is that? None of us wants to admit that we struggle in a very real way. I especially, at my age want you to think that I am doing fine. But I have been lonely, stressed and discouraged. Why do I admit this? Because I want you to know that I have been through struggles and it has made me love Him more.

I was reading Kept For the Master's Use by Frances Ridley Havergal. This little book looks at the song Take my life and let it be consecrated, Lord, to Thee. You know that song! You, like myself have probably sung it many times and meant it too! I so much want this for myself and you; to be consecrated to the Lord of Glory!

" Consecration is not so much a step as a course. It is not so much an act as a position to which a course of action inseparably belongs. Insofar as it is a course and a position, there must naturally be a definite entrance upon it and a time when that entrance is made. That is when we say, "Take." But we do not want to go on taking the first step over and over again."

-- Unrelated to this text: calculated crystals --
'''
Calculated powder diffractogram of Tl5GaO4 for Cu Kα (weighted mean of Kα1 and Kα2), from a DFT-relaxed cell (PBE, Alexandria).
Peak positions follow from Bragg's law for the DFT cell and can differ from measured ones.

Atomic structure:
a b c (Å): 8.5065 8.5065 7.6724
angles (deg): 101.51 101.51 22.71
Sites, in units of the cell vectors:
Tl1 0.0000 0.0000 0.0000
Tl2 0.3478 0.3478 0.2028
Tl3 0.3518 0.3518 0.6653
Tl4 0.6482 0.6482 0.3347
Tl5 0.6522 0.6522 0.7972
Ga1 0.0000 0.0000 0.5000
O1 0.1207 0.1207 0.5518
O2 0.4996 0.4996 0.3192
O3 0.5004 0.5004 0.6808
O4 0.8793 0.8793 0.4482

Most intense lines, 10° ≤ 2θ ≤ 90°, by intensity:
2theta, I/Imax
31.36, 100
35.59, 94
28.84, 62
28.10, 62
32.91, 42
49.71, 27
47.44, 25
48.78, 24
57.55, 23
21.77, 18

---

Calculated powder diffractogram of LiScBe2Br for Cu Kα (weighted mean of Kα1 and Kα2), from a DFT-relaxed cell (PBE, Alexandria).
Peak positions follow from Bragg's law for the DFT cell and can differ from measured ones.

Atomic structure:
a b c (Å): 4.1820 4.1820 5.1782
angles (deg): 90.00 90.00 90.00
Sites, in units of the cell vectors:
Li1 0.0000 0.0000 0.0000
Sc1 0.0000 0.0000 0.5000
Be1 0.0000 0.5000 0.0000
Be2 0.5000 0.0000 0.0000
Br1 0.5000 0.5000 0.5000

Most intense lines, 10° ≤ 2θ ≤ 90°, by intensity:
2theta, I/Imax
34.94, 100
17.12, 97
30.22, 59
46.63, 34
43.27, 31
34.65, 30
46.86, 28
56.58, 27
73.98, 20
27.41, 19

=====

[1]
Structure and theoretical powder X-ray diffraction pattern of SrLu2O4 (a structure optimized by DFT (GGA-PBE); Cu Kα (λ = 1.5418 Å)).
Intensities are scaled so that the largest is 100.

Structure:
Lattice parameters (Å, degrees): 10.011 3.346 11.781 90.00 90.00 90.00
Fractional coordinates of all 28 atoms:
Sr 0.246 0.250 0.150
Sr 0.254 0.750 0.650
Sr 0.746 0.250 0.350
Sr 0.754 0.750 0.850
Lu 0.073 0.250 0.388
Lu 0.079 0.250 0.891
Lu 0.421 0.750 0.391
Lu 0.427 0.750 0.888
Lu 0.573 0.250 0.112
Lu 0.579 0.250 0.609
Lu 0.921 0.750 0.109
Lu 0.927 0.750 0.612
O 0.019 0.750 0.783
O 0.075 0.250 0.575
O 0.121 0.750 0.020
O 0.209 0.750 0.330
O 0.291 0.250 0.830
O 0.379 0.250 0.520
O 0.425 0.750 0.075
O 0.481 0.250 0.283
O 0.519 0.750 0.717
O 0.575 0.250 0.925
O 0.621 0.750 0.480
O 0.709 0.750 0.170
O 0.791 0.250 0.670
O 0.879 0.250 0.980
O 0.925 0.750 0.425
O 0.981 0.250 0.217

Main lines, sorted by position (2θ = 10–80°):
- d 5.006, I 19
- d 2.945, I 48
- d 2.904, I 100
- d 2.794, I 90
- d 2.782, I 42
- d 2.023, I 41
- d 2.004, I 25
- d 1.669, I 30
- d 1.657, I 26
- d 1.450, I 25

=====

[2]
Structure and theoretical powder X-ray diffraction pattern of Lu2Te4O11 (a structure optimized by DFT (GGA-PBE); Cu Kα (λ = 1.5418 Å)).
Intensities are scaled so that the largest is 100.

Structure:
Lattice parameters (Å, degrees): 6.681 6.681 16.150 104.24 104.24 44.91
Fractional coordinates of all 34 atoms:
Lu 0.129 0.631 0.963
Lu 0.369 0.871 0.537
Lu 0.631 0.129 0.463
Lu 0.871 0.369 0.037
Te 0.156 0.590 0.625
Te 0.157 0.597 0.303
Te 0.403 0.843 0.197
Te 0.410 0.844 0.875
'''
-- So much for the calculated crystals --

" What we want now is to be maintained in that position and to fulfill that course. So let us go on to another prayer. Having already said, "Take my life, " let us now say - with deepened conviction that without Christ we really can do nothing - "Keep my life, for I cannot keep it for Thee."

My friends, the keeping of my life is not in my hands. Now I have known this. It is not new to me. But, life happens and we can become so weary in it's course that we sometimes forget that the Lord "keeps" us.

"For with the deepest and sweetest consciousness that He has indeed taken our lives to be His very own, the need of His active and actual keeping of them in every detail and at every moment is most fully realized. But then we have the promise of our faithful God, "I, the Lord, am its keeper... I guard it night and day" (Isaiah 27:3)

Meditating upon this thought that the Lord is my Keeper, I began to search scripture for this.

Ps. 121 " I will lift up my eyes to the hills––From whence comes my help? My help comes from the LORD, Who made heaven and earth. He will not allow your foot to be moved; He who keeps you will not slumber. Behold, He who keeps Israel Shall neither slumber nor sleep. The LORD is your keeper; The LORD is your shade at your right hand. The sun shall not strike you by day, Nor the moon by night. The LORD shall preserve you from all evil; He shall preserve your soul. The LORD shall preserve your going out and your coming in From this time forth, and even forevermore."

My heart is encouraged. The Lord so kindly has brought me through difficulty again. He is faithful beyond my understanding. I am kept by His gracious, omnipotent hand. Kept to continue on, to press forward and by His keeping to bring glory to Him.

And by the way, Joel is kept by this same One and I have no need to worry about him. My God is able.


Rachel said...

I appreciated this, Marti. It is so good to be reminded that our life is in His hands and that He is keeping us. What a safeguard for our soul.

You are not alone - I'm sure many of us have suffered times of loneliness and discouragement this year. And yet we hope in the Lord too. He will be faithful to His promises, we know this for sure.

(What comes next are materials data, not part of the article)
┌──
Diffraction record for Fe2SbP3O12. The powder X-ray diffraction pattern is simulated, not measured: it uses DFT lattice parameters and positions (PBE+U) and Cu Kα.
Intensities are scaled so that the largest is 100.

Peak list (10 most intense, 2θ from 15° to 90°, by angle)
| 2θ (°) | d [Å] | Rel. int. |
| --- | --- | --- |
| 20.44 | 4.345 | 100 |
| 23.84 | 3.733 | 59 |
| 25.03 | 3.558 | 25 |
| 32.04 | 2.793 | 94 |
| 35.79 | 2.509 | 37 |
| 43.80 | 2.067 | 17 |
| 46.04 | 1.971 | 26 |
| 48.79 | 1.866 | 33 |
| 55.99 | 1.642 | 24 |
| 61.97 | 1.497 | 25 |

Structural model:
Lattice parameters (Å, degrees): 8.8519 8.8519 8.8519 58.79 58.79 58.79
Fractional coordinates of all 36 atoms:
Fe 0.1492 0.1492 0.1492
Fe 0.3508 0.3508 0.3508
Fe 0.6492 0.6492 0.6492
Fe 0.8508 0.8508 0.8508
Sb 0.0000 0.0000 0.0000
Sb 0.5000 0.5000 0.5000
P 0.0407 0.7500 0.4593
P 0.2500 0.5407 0.9593
P 0.4593 0.0407 0.7500
P 0.5407 0.9593 0.2500
P 0.7500 0.4593 0.0407
P 0.9593 0.2500 0.5407
O 0.0071 0.8027 0.6162
O 0.0600 0.9171 0.2668
O 0.0829 0.7332 0.9400
O 0.1162 0.3027 0.5071
O 0.1973 0.3838 0.9929
O 0.2332 0.5829 0.4400
O 0.2668 0.0600 0.9171
O 0.3027 0.5071 0.1162
O 0.3838 0.9929 0.1973
O 0.4171 0.5600 0.7668
O 0.4400 0.2332 0.5829
O 0.4929 0.8838 0.6973
O 0.5071 0.1162 0.3027
O 0.5600 0.7668 0.4171
O 0.5829 0.4400 0.2332
O 0.6162 0.0071 0.8027
O 0.6973 0.4929 0.8838
O 0.7332 0.9400 0.0829
O 0.7668 0.4171 0.5600
O 0.8027 0.6162 0.0071
O 0.8838 0.6973 0.4929
O 0.9171 0.2668 0.0600
O 0.9400 0.0829 0.7332
O 0.9929 0.1973 0.3838

---

Diffraction record for Fe5SbP6O24. The powder X-ray diffraction pattern is simulated, not measured: it uses DFT lattice parameters and positions (PBE+U) and Cu Kα.
Intensities are scaled so that the largest is 100.

Peak list (10 most intense, 2θ from 15° to 90°, by angle)
| 2θ (°) | d [Å] | Rel. int. |
| --- | --- | --- |
| 20.44 | 4.345 | 100 |
| 20.73 | 4.286 | 22 |
| 24.15 | 3.685 | 82 |
| 33.00 | 2.714 | 69 |
| 35.79 | 2.509 | 42 |
| 47.30 | 1.922 | 31 |
| 49.48 | 1.842 | 26 |
| 55.99 | 1.642 | 26 |
| 56.48 | 1.629 | 15 |
| 62.55 | 1.485 | 20 |

Structural model:
Lattice parameters (Å, degrees): 8.5728 8.5728 8.5728 60.91 60.91 60.91
Fractional coordinates of all 36 atoms:
Fe 0.0000 0.0000 0.0000
Fe 0.1387 0.1387 0.1387
Fe 0.3503 0.3503 0.3503
Fe 0.4938 0.4938 0.4938
Fe 0.6363 0.6363 0.6363
Sb 0.8519 0.8519 0.8519
P 0.0397 0.4495 0.7393
P 0.2465 0.9498 0.5338
P 0.4495 0.7393 0.0397
P 0.5338 0.2465 0.9498
P 0.7393 0.0397 0.4495
P 0.9498 0.5338 0.2465
O 0.0044 0.6087 0.8073
O 0.0520 0.2584 0.9035
O 0.0811 0.9343 0.7382
O 0.1064 0.5028 0.3047
O 0.1723 0.9901 0.3850
O 0.2351 0.4370 0.5835
O 0.2584 0.9035 0.0520
O 0.3047 0.1064 0.5028
O 0.3850 0.1723 0.9901
O 0.3995 0.7516 0.5573
O 0.4370 0.5835 0.2351
O 0.4982 0.6729 0.8824
O 0.5028 0.3047 0.1064
O 0.5573 0.3995 0.7516
O 0.5835 0.2351 0.4370
O 0.6087 0.8073 0.0044
O 0.6729 0.8824 0.4982
O 0.7382 0.0811 0.9343
O 0.7516 0.5573 0.3995
O 0.8073 0.0044 0.6087
O 0.8824 0.4981 0.6729
└──
(End of the materials data)

I'm glad to see you blogging again, Marti. I've missed you! You are an encouragement to me!

Christina said...

Dear Mommy, I wish I was there to hug you.

I looked up Psalm 121, and our english translation uses the word "LORD," all capital letters. In its literal translation the word would be "Jehovah." Jehovah means that He is the all-knowing, self-existant, covenant-making, and covenant-keeping God! His name in and of itself is assurance that His promise to keep us will not be broken. He is The Great I AM, and He is incapable of not keeping His promises.

Also, I cannot forget what my favorite sister once said to me in encouragement. She pointed out that oftentimes, in my own stubborness to not want to tell others when I am sad,lonely, or need help, I am often depriving others of utilizing their spiritual gifts. I try to keep that in mind when I know that I need someone to talk to and I need to accept the help that's given.

I love you.

Brooke said...

Joel has been on my mind alot lately. I have been praying... I love him.

Anne/Ana/Anita/AnĂ­ said...

The Lord has been teaching me so much about His faithfulness lately - He is our sure and steadfast hope in every situation! He is a good Father who always richly provides for His children! He is our strong rock and refuge in the storms of life! And that's just a tiny glimpse of how faithful He is...I love Him!

Kelly said...

### Crystal structures, as found in the file
-- begin --
Starting from DFT lattice parameters and positions (GGA+U), the powder X-ray diffraction pattern of MgMnO2 was simulated for a wavelength of 1.5418 Å.
Kinematic intensities with the Lorentz-polarization factor, no thermal factor.

Largest 10 diffraction maxima, sorted by position, 2θ = 5–70°:
2θ/deg	intensity
18.69	20.0
33.64	24.1
33.86	15.5
34.41	16.5
34.76	49.4
37.93	16.4
42.77	100.0
48.89	34.2
56.01	30.8
60.17	44.8

Cell and atoms:
```
16
Lattice="10.4237 0.0000 0.0000 0.0000 3.0729 0.0000 0.0000 0.0000 5.3327" Properties=species:S:1:pos:R:3 pbc="T T T"
Mg 1.2748 0.7682 0.4211
Mg 3.9371 2.3047 3.0874
Mg 6.4866 0.7682 2.2453
Mg 9.1490 2.3047 4.9117
Mn 1.2648 2.3047 3.0982
Mn 3.9471 0.7682 0.4319
Mn 6.4767 2.3047 4.9009
Mn 9.1589 0.7682 2.2345
O 0.0624 2.3047 1.2528
O 2.5674 2.3047 4.8642
O 2.6445 0.7682 2.1978
O 5.1495 0.7682 3.9192
O 5.2742 2.3047 1.4136
O 7.7793 2.3047 3.1349
O 7.8563 0.7682 0.4685
O 10.3614 0.7682 4.0799
```

***

Starting from DFT lattice parameters and positions (GGA+U), the powder X-ray diffraction pattern of CoCuP2O8 was simulated for a wavelength of 1.5418 Å.
Kinematic intensities with the Lorentz-polarization factor, no thermal factor.

Largest 10 diffraction maxima, sorted by position, 2θ = 5–70°:
2θ/deg	intensity
17.78	70.8
19.32	100.0
20.51	32.9
24.30	32.0
25.49	42.1
28.67	27.7
30.24	98.6
36.12	32.1
36.85	43.4
39.19	41.1

Cell and atoms:
```
24
Lattice="4.9952 0.0000 0.0000 0.0000 5.9147 0.0000 -0.7390 0.0000 9.9775" Properties=species:S:1:pos:R:3 pbc="T T T"
Co 0.0814 1.4787 2.8865
Co 4.1749 4.4360 7.0911
Cu 1.2404 1.4787 8.0174
Cu 3.0158 4.4360 1.9601
P 0.1825 4.4360 3.9787
P 1.5304 4.4360 8.9447
P 2.7258 1.4787 1.0328
P 4.0738 1.4787 5.9988
O 0.3612 4.4360 5.4963
O 0.6129 1.4787 6.2874
O 0.8410 3.1838 3.3255
O 0.8410 5.6882 3.3255
O 1.2297 1.4787 1.2365
O 0.7254 3.2842 8.2236
O 0.7254 5.5878 8.2236
O 1.9080 4.4360 0.4740
O 2.3483 1.4787 9.5036
O 3.5309 0.3269 1.7539
O 3.5309 2.6305 1.7539
O 3.0266 4.4360 8.7411
O 3.4153 0.2265 6.6521
O 3.4153 2.7309 6.6521
O 3.6433 4.4360 3.6901
O 3.8951 1.4787 4.4813
```

***

Starting from DFT lattice parameters and positions (GGA+U), the powder X-ray diffraction pattern of MgMn6O7F5 was simulated for a wavelength of 1.5418 Å.
Kinematic intensities with the Lorentz-polarization factor, no thermal factor.

Largest 10 diffraction maxima, sorted by position, 2θ = 5–70°:
2θ/deg	intensity
24.15	100.0
26.65	69.2
32.95	23.6
34.10	25.3
34.73	17.1
35.53	19.2
47.05	22.0
49.46	20.3
50.39	17.3
51.35	20.4

Cell and atoms:
```
19
Lattice="5.0336 0.0000 0.0000 -0.7479 5.8504 0.0000 -0.0301 -0.8512 7.7489" Properties=species:S:1:pos:R:3 pbc="T T T"
Mg 0.0000 0.0000 0.0000
Mn -0.3623 2.8689 0.0284
Mn -0.0856 0.6084 4.8880
Mn 2.2196 1.6226 2.4698
Mn 1.8091 5.8038 0.0682
Mn 2.0814 3.3385 5.2296
Mn 4.1591 4.5531 2.7226
O 0.9581 0.2894 3.3364
O 0.7342 2.0485 5.8945
O 1.3424 1.3610 0.7190
O 2.9402 3.6139 6.9796
O 3.7109 0.1093 1.5039
O 3.5118 2.9667 1.8349
O 3.2973 4.7218 4.4139
-- stop --

Marti, thanks for sharing. This really spoke to my heart. I've often thought that so often we go to chapel with our best foot forward. We act as if we've totally got our lives together. When in fact, we don't.

One year at Vessels, I decided to be honest about where things were, about some of my struggles. That year, I had some of the BEST fellowship and was so encouraged in the process. I realized that I wasn't alone in these struggles and we were able to remind one another of God's faithfulness to us and encourage one another to press on in faithfulness to Him.

Don't you think that's one of the functions of the body of Christ? To uphold one another in our weaknesses and certainly to encourage on another along in our walk with the Lord in the midst of trials.

marti said...

Thank you each one for your encouragements. The Lord is indeed The Faithful One. And I know that I don't stand alone. Yes, Kelly, the Lord would have us uphold each other in prayer. We tend to pray more for those we know are struggling and so I think it is good to say "I need your prayers".

But is so hard to say. That I believe is one of Satans tools or lies. We fear if we tell others we have problems they will think less of us or give us advice we don't want to hear.

I have learned so much about having a listening ear to the pains of others. Sometimes listening and praying is the best encouragement we can give. (Not that I haven't been thankful for the advice of many, yourselves included).

I guess my biggest purpose for posting this was to say, even the older saint, the one we often think has it more together still has very real struggles too!

We need each other so very much.
The hug of a tear, a smile, a prayer and yes a great big physical hug.
